
Here is why I don't care about the Levene's test

Published at March 15, 2024 ·  5 min read

### The article is interrupted by materials data
┌──
The following is a PBE+U calculation of a relaxed structure of Li5Ti2V3O10, from the Materials Project.

Cell: 6.6486 7.9197 7.8866 Å, 65.86 89.87 89.94°
Fractional coordinates of all 40 atoms:
O: 0.8537 0.0935 0.8472
O: 0.9490 0.7209 0.9313
O: 0.8329 0.5983 0.3335
Ti: 0.5552 0.5381 0.3051
V: 0.1516 0.1562 0.8981
O: 0.2307 0.0025 0.7472
O: 0.3311 0.0960 0.3362
O: 0.3501 0.5954 0.8436
O: 0.0471 0.2893 0.0686
O: 0.1362 0.9030 0.1520
Li: 0.1416 0.6336 0.4045
Ti: 0.0571 0.0394 0.3104
O: 0.4515 0.6779 0.4534
O: 0.7673 0.9993 0.2408
V: 0.8452 0.8457 0.1002
Li: 0.0385 0.5663 0.7732
V: 0.6507 0.6563 0.8948
O: 0.9520 0.1771 0.4539
Ti: 0.9359 0.9617 0.6901
Li: 0.9571 0.4355 0.2202
O: 0.2669 0.5000 0.2424
Li: 0.2475 0.2505 0.5018
V: 0.3377 0.3447 0.0961
Li: 0.3562 0.8693 0.5931
O: 0.0423 0.8253 0.5400
O: 0.5523 0.7900 0.0694
Li: 0.5373 0.0682 0.7740
Ti: 0.4404 0.4663 0.6873
Li: 0.7471 0.7493 0.4984
O: 0.5440 0.3259 0.5377
O: 0.6326 0.4025 0.1508
O: 0.6630 0.9089 0.6519
O: 0.4477 0.2188 0.9293
V: 0.7478 0.2555 0.9950
V: 0.2512 0.7533 0.9953
O: 0.1652 0.4058 0.6540
Li: 0.4577 0.9338 0.2208
O: 0.7327 0.5010 0.7429
Li: 0.6388 0.1363 0.4029
Li: 0.8571 0.3699 0.5904

## Properties
ΔE_f = -2703 meV per atom

---

The following is a PBE+U calculation of a relaxed structure of Li4Ti3V5O16, from the Materials Project.

Cell: 5.9090 5.9385 9.6715 Å, 90.56 90.56 119.60°
Fractional coordinates of all 28 atoms:
O: 0.6867 0.3519 0.4002
V: 0.1706 0.3419 0.7899
V: 0.6646 0.3266 0.0127
Li: 0.6665 0.3321 0.6056
O: 0.4846 0.5255 0.6610
O: 0.5198 0.4768 0.1611
V: 0.8170 0.1591 0.2895
O: 0.0357 0.5256 0.6643
O: 0.3483 0.6930 0.8978
O: 0.8381 0.1666 0.8975
O: 0.6720 0.8371 0.3945
Li: 0.0041 0.0073 0.0050
O: 0.9599 0.4793 0.1618
O: 0.1545 0.3239 0.3968
Ti: 0.6606 0.8282 0.7836
Li: 0.9975 0.9974 0.5026
O: 0.3291 0.1659 0.8986
O: 0.1654 0.8355 0.3983
O: 0.9941 0.9912 0.6877
Li: 0.3321 0.6622 0.1050
Ti: 0.1616 0.8233 0.7840
V: 0.3410 0.1663 0.2909
O: 0.9889 0.9903 0.1896
V: 0.3285 0.6636 0.5123
O: 0.5291 0.0319 0.1662
O: 0.8404 0.6799 0.8950
O: 0.4789 0.9596 0.6622
Ti: 0.8299 0.6580 0.2783

## Properties
ΔE_f = -2759 meV per atom

---

The following is a PBE+U calculation of a relaxed structure of LiTiVO4, from the Materials Project.

Cell: 5.9232 6.0044 8.4547 Å, 90.00 90.00 90.06°
Fractional coordinates of all 28 atoms:
O: 0.7498 0.2749 0.4950
O: 0.2498 0.7748 0.9949
V: 0.2500 0.7500 0.7500
V: 0.7500 0.2500 0.2500
Li: 0.5000 0.5000 0.0000
O: 0.2502 0.2251 0.9950
Ti: 0.0000 0.4999 0.5000
O: 0.5262 0.9998 0.2344
O: 0.7498 0.7748 0.0051
O: 0.9738 0.0002 0.2344
Li: 0.0000 0.5000 0.0000
Ti: 0.5000 0.0001 0.0000
Ti: 0.5000 0.5000 0.5000
O: 0.0262 0.9998 0.7656
O: 0.7502 0.2251 0.0050
O: 0.4738 0.0002 0.7656
Li: 0.0000 0.0000 0.5000
Li: 0.5000 0.0000 0.5000
O: 0.9738 0.5002 0.2656
O: 0.0262 0.4998 0.7344
O: 0.5262 0.4998 0.2656
O: 0.7502 0.7252 0.4949
O: 0.2502 0.7252 0.5051
O: 0.2498 0.2749 0.5050
O: 0.4738 0.5002 0.7344
└──

During my stat courses, I never give my students any information about the Levene’s test (Levene and Howard, 1960), or other similar tests for homoscedasticity, unless I am specifically prompted to do so. It is not that I intend to underrate the tremendous importance of checking for the basic assumptions of linear model! On the contrary, I always show my students several methods for the graphical inspection of model residuals, but I do not share the same aching desire for a P-value, that most of my colleagues seem to possess.


Meta-analysis for a single study. Is it possible?

Materials data from another source follow.
____________
Entry 1:
LiMnCo3O8 PBE+U relaxed; energy of formation from the pure elements = -1.44 eV per atom; calculated volume = 286.5 Å³ per cell; energy above the most stable polymorph in this dataset = 0.028 eV/atom
1.0
5.692 0.000 0.000
0.035 6.112 0.000
0.003 0.562 8.235
Li Mn Co O
2 2 6 16
direct
0.000 0.000 0.000
0.498 0.503 0.490
0.500 0.007 0.492
0.997 0.502 0.994
0.248 0.254 0.241
0.249 0.754 0.744
0.497 0.503 0.993
0.746 0.255 0.241
0.749 0.754 0.745
0.999 0.010 0.491
0.000 0.462 0.224
0.001 0.051 0.247
0.002 0.955 0.742
0.247 0.714 0.976
0.249 0.291 0.009
0.255 0.227 0.471
0.262 0.780 0.518
0.494 0.047 0.260
0.494 0.462 0.222
0.499 0.549 0.760
0.500 0.960 0.729
0.737 0.227 0.472
0.745 0.294 0.007
0.745 0.715 0.976
0.746 0.786 0.517
0.997 0.548 0.759


Entry 2:
Li7Mn2Co3O12 PBE+U relaxed; energy of formation from the pure elements = -1.90 eV per atom; calculated volume = 212.5 Å³ per cell; energy above the most stable polymorph in this dataset = 0.037 eV/atom
1.0
5.864 0.000 0.000
1.451 6.333 0.000
2.859 1.458 5.722
Li Mn Co O
7 2 3 12
direct
0.000 0.000 0.000
0.081 0.324 0.162
0.251 0.995 0.499
0.411 0.676 0.835
0.596 0.324 0.161
0.754 0.001 0.492
0.917 0.674 0.831
0.674 0.667 0.327
0.830 0.332 0.669
0.169 0.668 0.326
0.326 0.316 0.676
0.502 0.997 0.004
0.027 0.664 0.113
0.150 0.978 0.240
0.179 0.350 0.433
0.314 0.651 0.552
0.380 0.015 0.746
0.478 0.330 0.899
0.560 0.667 0.091
0.625 0.978 0.249
0.709 0.347 0.426
0.779 0.652 0.574
0.859 0.022 0.748
0.958 0.340 0.890


Entry 3:
Li3MnCoO5 PBE+U relaxed; energy of formation from the pure elements = -1.91 eV per atom; calculated volume = 177.8 Å³ per cell; energy above the most stable polymorph in this dataset = 0.045 eV/atom
1.0
2.896 0.000 0.000
0.001 5.911 0.000
1.444 1.418 10.387
Li Mn Co O
6 2 2 10
direct
0.000 0.000 0.000
0.000 0.500 0.000
0.201 0.599 0.603
0.409 0.211 0.181
0.594 0.787 0.819
0.803 0.400 0.397
0.398 0.699 0.189
0.594 0.301 0.811
0.208 0.097 0.601
0.803 0.902 0.399
0.099 0.076 0.799
0.099 0.521 0.800
0.280 0.669 0.390
0.330 0.135 0.401
0.489 0.747 0.015
0.509 0.253 0.985
0.676 0.330 0.611
0.735 0.864 0.599
0.892 0.924 0.201
0.893 0.478 0.200


Entry 4:
Li7Mn2Co3O12 PBE+U relaxed; energy of formation from the pure elements = -1.90 eV per atom; calculated volume = 215.2 Å³ per cell; energy above the most stable polymorph in this dataset = 0.032 eV/atom
1.0
5.060 0.000 0.000
1.701 5.626 0.000
1.611 1.136 7.559
Li Mn Co O
7 2 3 12
direct
0.000 0.000 0.000
0.002 0.172 0.325
0.005 0.670 0.325
0.009 0.334 0.647
0.493 0.839 0.164
0.507 0.170 0.824
0.510 0.500 0.485
0.006 0.834 0.656
0.502 0.337 0.163
0.006 0.491 0.001
0.504 0.670 0.824
0.506 0.009 0.482
0.244 0.524 0.743
0.248 0.981 0.739
0.253 0.844 0.433
0.256 0.196 0.072
0.265 0.653 0.073
0.279 0.333 0.392
0.726 0.024 0.238
0.730 0.351 0.922
0.739 0.497 0.228
0.754 0.135 0.580
0.769 0.677 0.582
0.776 0.816 0.892


Entry 5:
____________

Published at July 21, 2022 ·  12 min read

### Misplaced records of crystals
********
No. 1
Compound: Li2VOF4
Source: Materials Project
Functional: GGA+U
Structure: relaxed

Summary:
Piezoelectric modulus e_max   1.34 C/m2
ΔH_f (0 K)   -3.02 eV per atom
Crystal system   orthorhombic

Cell: 3.637 10.300 5.354 Å, 90.00 70.12 90.00°
Fractional positions:
O1 0.340 0.066 0.319
O2 0.660 0.566 0.681
F1 0.771 0.236 0.458
F2 0.945 0.891 0.109
F3 0.055 0.391 0.891
F4 0.964 0.626 0.073
F5 0.307 0.452 0.387
F6 0.229 0.736 0.542
F7 0.036 0.126 0.927
F8 0.693 0.952 0.613
V1 0.861 0.059 0.278
V2 0.139 0.559 0.721
Li1 0.820 0.748 0.361
Li2 0.867 0.422 0.267
Li3 0.133 0.922 0.733
Li4 0.180 0.248 0.639

---

No. 2
Compound: NaCr2BiO6
Source: Materials Project
Functional: GGA+U
Structure: relaxed

Summary:
ΔH_f (0 K)   -1.88 eV per atom
Crystal system   trigonal

Cell: 5.483 5.483 5.483 Å, 59.64 59.64 59.64°
Fractional positions:
O1 0.320 0.774 0.168
O2 0.774 0.168 0.320
O3 0.673 0.246 0.830
O4 0.246 0.830 0.673
O5 0.168 0.320 0.774
O6 0.830 0.673 0.246
Bi1 0.213 0.213 0.213
Cr1 0.989 0.989 0.989
Cr2 0.491 0.491 0.491
Na1 0.729 0.729 0.729

---

No. 3
Compound: Li9Mn2Co5O16
Source: Materials Project
Functional: GGA+U
Structure: relaxed

Summary:
ΔH_f (0 K)   -1.81 eV per atom
Crystal system   monoclinic

Cell: 6.660 6.660 15.301 Å, 87.67 87.67 24.98°
Fractional positions:
Co1 0.610 0.610 0.616
Co2 0.390 0.390 0.384
Co3 0.125 0.125 0.124
Co4 0.500 0.500 0.000
Co5 0.875 0.875 0.876
O1 0.475 0.475 0.599
O2 0.029 0.029 0.910
O3 0.525 0.525 0.401
O4 0.652 0.652 0.041
O5 0.156 0.156 0.538
O6 0.971 0.971 0.090
O7 0.892 0.892 0.285
O8 0.844 0.844 0.462
O9 0.720 0.720 0.833
O10 0.607 0.607 0.209
O11 0.108 0.108 0.715
O12 0.348 0.348 0.959
O13 0.393 0.393 0.791
O14 0.280 0.280 0.167
O15 0.780 0.780 0.670
O16 0.220 0.220 0.330
Li1 0.184 0.184 0.936
Li2 0.062 0.062 0.318
Li3 0.938 0.938 0.682
Li4 0.816 0.816 0.064
Li5 0.437 0.437 0.187
Li6 0.563 0.563 0.813
Li7 0.000 0.000 0.500
Li8 0.315 0.315 0.557
Li9 0.685 0.685 0.443
Mn1 0.753 0.753 0.251
Mn2 0.247 0.247 0.749

---

No. 4
Compound: Li2Ti3CoO8
Source: Materials Project
Functional: GGA+U
Structure: relaxed

Summary:
ΔH_f (0 K)   -2.88 eV per atom
Crystal system   cubic

Cell: 8.453 8.453 8.453 Å, 90.00 90.00 90.00°
Fractional positions:
Li1 0.251 0.749 0.249
Li2 0.749 0.249 0.251
Li3 0.999 0.001 0.501
Li4 0.501 0.999 0.001
Li5 0.751 0.751 0.751
Li6 0.001 0.501 0.999
Li7 0.499 0.499 0.499
Li8 0.249 0.251 0.749
O1 0.356 0.860 0.875
O2 0.612 0.112 0.388
O3 0.144 0.140 0.375
O4 0.388 0.612 0.112
O5 0.110 0.106 0.875
O6 0.606 0.625 0.890
O7 0.860 0.875 0.356
O8 0.640 0.125 0.856
O9 0.875 0.356 0.860
O10 0.360 0.625 0.644
O11 0.625 0.644 0.360
O12 0.125 0.610 0.394
O13 0.375 0.144 0.140
O14 0.625 0.890 0.606
O15 0.362 0.362 0.362
O16 0.638 0.862 0.138
O17 0.112 0.388 0.612
O18 0.862 0.138 0.638
O19 0.875 0.110 0.106
O20 0.375 0.390 0.894
O21 0.856 0.640 0.125
O22 0.125 0.856 0.640
O23 0.894 0.375 0.390
O24 0.390 0.894 0.375
O25 0.138 0.638 0.862
O26 0.890 0.606 0.625
O27 0.106 0.875 0.110
O28 0.644 0.360 0.625
********

We all know that the word meta-analysis encompasses a body of statistical techniques to combine quantitative evidence from several independent studies. However, I have recently discovered that meta-analytic methods can also be used to analyse the results of a single research project. That happened a few months ago, when I was reading a paper from Damesa et al. (2017), where the authors describe some interesting methods of data analyses for multi-environment genotype experiments. These authors gave a few nice examples with related SAS code, that is rooted in mixed models. As an R enthusiast, I was willing to reproduce their analyses with R, but I could not succeed, until I realised that I could make use of the package ‘metafor’ and its bunch of meta-analityc methods.


Accounting for the experimental design in linear/nonlinear regression analyses

Published at December 4, 2020 ·  11 min read

In this post, I am going to talk about an issue that is often overlooked by agronomists and biologists. The point is that field experiments are very often laid down in blocks, using split-plot designs, strip-plot designs or other types of designs with grouping factors (blocks, main-plots, sub-plots). We know that these grouping factors should be appropriately accounted for in data analyses: ‘analyze them as you have randomized them’ is a common saying attributed to Ronald Fisher. Indeed, observations in the same group are correlated, as they are more alike than observations in different groups. What happens if we neglect the grouping factors? We break the independence assumption and our inferences are invalid (Onofri et al., 2010).


Testing for interactions in nonlinear regression

Published at September 13, 2019 ·  11 min read

Factorial experiments are very common in agriculture and they are usually laid down to test for the significance of interactions between experimental factors. For example, genotype assessments may be performed at two different nitrogen fertilisation levels (e.g. high and low) to understand whether the ranking of genotypes depends on nutrient availability. For those of you who are not very much into agriculture, I will only say that such an assessment is relevant, because we need to know whether we can recommend the same genotypes, e.g., both in conventional agriculture (high nitrogen availability) and in organic agriculture (relatively lower nitrogen availability).
